# Material
<<<
24
Properties=species:S:1:pos:R:3 method="wB97M-V/def2-TZVPD" total_charge=0 e_above_lowest_kcal_mol=90.4 max_force_ha_per_bohr=0.1021 smiles="NCCCC[C@H](N)C(=O)O" total_energy_ha=-496.9134 homo_lumo_gap_ev=9.9 spin_multiplicity=1 lumo_energy_ha=0.02029 homo_ev=-9.307
H -0.64628 -1.17047 0.57935
H -4.23773 0.68737 0.14957
H 1.88434 -1.03226 1.25681
H -0.61833 0.31628 1.64428
H 1.96175 0.78563 1.18799
H 0.27982 -0.34197 -1.26881
H 4.23568 -1.09244 0.78944
O -4.38678 -0.33748 0.44136
H 5.04619 -0.44532 -0.33800
H -2.67158 2.28997 0.51363
N -2.77001 1.51019 -0.12122
H -1.66498 -0.07691 -1.02474
C 0.44137 0.15596 -0.28787
O -3.11863 -2.06028 -0.23783
C -2.19076 0.23948 -0.20848
N 4.18122 -0.27059 0.20728
H -2.86256 1.95526 -1.01461
H 2.87117 0.28203 -1.33764
C 1.79954 -0.13951 0.59121
C -3.17817 -0.86125 -0.04916
C 2.87318 -0.35966 -0.42137
C -0.75250 -0.10151 0.61599
H 2.95145 -1.26463 -1.02781
H 0.57262 1.33212 -0.63938

---

24
Properties=species:S:1:pos:R:3 method="wB97M-V/def2-TZVPD" total_charge=0 e_above_lowest_kcal_mol=33.7 max_force_ha_per_bohr=0.0896 smiles="CNC(C)=O.CNC(C)=O" total_energy_ha=-497.0039 homo_lumo_gap_ev=10.0 spin_multiplicity=1 lumo_energy_ha=0.01866 homo_ev=-9.506
C -1.32482 0.87082 1.69740
H -0.07203 -2.44315 -1.64592
C 1.43145 -2.17704 -0.22691
C 1.15309 1.23648 1.58897
C -2.42557 0.22937 0.90038
H 1.49942 2.23848 1.23748
H 0.99989 1.15999 2.66845
O -1.56284 1.47752 2.73013
H 1.77627 -3.15413 -0.47898
H 0.12847 0.81512 -3.39016
H -1.07010 0.02587 -2.36603
N -0.12549 0.85763 1.06625
H 1.91828 0.41569 1.50030
C -0.16935 -0.15784 -2.92603
H 2.04727 -1.33950 0.09767
H -3.28597 0.07420 1.53571
C 0.86965 -0.54383 -1.91023
H -2.20079 -0.73041 0.46716
H 0.77204 -2.27992 0.76650
H -0.09939 0.29524 0.21033
O 1.69415 0.26789 -1.54417
H -0.45257 -0.87054 -3.73551
H -2.69202 0.98676 0.15307
N 0.51343 -1.69694 -1.27788

---

24
Properties=species:S:1:pos:R:3 method="wB97M-V/def2-TZVPD" total_charge=0 e_above_lowest_kcal_mol=62.1 max_force_ha_per_bohr=0.1172 smiles="CNC(C)=O.CNC(C)=O" total_energy_ha=-496.9585 homo_lumo_gap_ev=9.7 spin_multiplicity=1 lumo_energy_ha=0.02283 homo_ev=-9.039
O 1.50616 1.10960 0.86374
C -0.80081 0.04554 1.89122
H -1.43694 0.16064 2.82526
N -0.73072 1.34937 1.23359
H 0.16906 0.36398 -2.66009
H 1.32920 -3.85220 -0.70583
C 0.51041 1.82114 0.82799
H -0.82344 -0.91439 -3.32098
H 0.09181 3.93988 1.51824
O -0.68228 -2.99382 -1.77183
H -1.57559 0.31769 -2.17208
C 0.95816 -2.98134 -0.04008
C -0.65607 -0.32696 -2.26718
H 1.59448 3.63372 0.59163
H 0.15486 3.59816 -0.27337
C -0.04426 -2.33854 -1.05187
N 0.01116 -0.89113 -1.19159
H 1.86544 -2.39157 -0.02914
C 0.52581 3.29452 0.70395
H 0.42610 -3.13275 0.98135
H 0.23795 -0.34250 -0.39519
H -1.62445 1.79742 0.96749
H -1.18284 -0.90690 1.32600
H 0.17683 -0.35957 2.14881

---

26
Properties=species:S:1:pos:R:3 method="wB97M-V/def2-TZVPD" total_charge=0 e_above_lowest_kcal_mol=0.0 max_force_ha_per_bohr=0.0783 smiles="CC(C)(C)SSCN(N)C(=O)O" total_energy_ha=-1293.3601 homo_lumo_gap_ev=9.3 spin_multiplicity=1 lumo_energy_ha=0.01852 homo_ev=-8.843
H 2.38475 1.66530 1.34317
H 0.39981 1.27581 -2.56126
N -3.14879 -0.76542 1.81835
C 1.30717 1.05295 -0.53094
H -3.23601 0.18522 1.42606
H 1.59551 -0.81995 0.44431
H 3.48239 1.33384 -0.21963
C 2.47019 1.76117 0.22281
H -0.08431 -1.81451 1.20081
S -0.20627 0.51042 2.11696
S -0.31704 1.40521 0.28426
C -2.01484 -1.53713 -0.29074
C -0.78125 -1.23840 1.74919
C 1.61502 -0.40792 -0.56891
C 1.25483 1.59370 -1.99354
H 2.49856 2.85912 -0.03056
H 2.25372 1.30562 -2.35786
O -3.21286 -1.35490 -0.88032
H -4.01725 -1.28583 1.71350
H 2.64057 -0.44699 -1.05028
H 1.36749 2.77795 -1.87325
N -2.04017 -1.34295 1.11308
H 0.92415 -0.89871 -1.24469
H -0.88591 -1.68844 2.73101
O -1.05192 -2.05749 -0.91704
H -3.19753 -2.06766 -1.64450

---

25
>>>
# What to do
It remains to give back the lines above up to the one that holds "0.51041 1.82114", that line included.
# Here it is
24
Properties=species:S:1:pos:R:3 method="wB97M-V/def2-TZVPD" total_charge=0 e_above_lowest_kcal_mol=90.4 max_force_ha_per_bohr=0.1021 smiles="NCCCC[C@H](N)C(=O)O" total_energy_ha=-496.9134 homo_lumo_gap_ev=9.9 spin_multiplicity=1 lumo_energy_ha=0.02029 homo_ev=-9.307
H -0.64628 -1.17047 0.57935
H -4.23773 0.68737 0.14957
H 1.88434 -1.03226 1.25681
H -0.61833 0.31628 1.64428
H 1.96175 0.78563 1.18799
H 0.27982 -0.34197 -1.26881
H 4.23568 -1.09244 0.78944
O -4.38678 -0.33748 0.44136
H 5.04619 -0.44532 -0.33800
H -2.67158 2.28997 0.51363
N -2.77001 1.51019 -0.12122
H -1.66498 -0.07691 -1.02474
C 0.44137 0.15596 -0.28787
O -3.11863 -2.06028 -0.23783
C -2.19076 0.23948 -0.20848
N 4.18122 -0.27059 0.20728
H -2.86256 1.95526 -1.01461
H 2.87117 0.28203 -1.33764
C 1.79954 -0.13951 0.59121
C -3.17817 -0.86125 -0.04916
C 2.87318 -0.35966 -0.42137
C -0.75250 -0.10151 0.61599
H 2.95145 -1.26463 -1.02781
H 0.57262 1.33212 -0.63938

---

24
Properties=species:S:1:pos:R:3 method="wB97M-V/def2-TZVPD" total_charge=0 e_above_lowest_kcal_mol=33.7 max_force_ha_per_bohr=0.0896 smiles="CNC(C)=O.CNC(C)=O" total_energy_ha=-497.0039 homo_lumo_gap_ev=10.0 spin_multiplicity=1 lumo_energy_ha=0.01866 homo_ev=-9.506
C -1.32482 0.87082 1.69740
H -0.07203 -2.44315 -1.64592
C 1.43145 -2.17704 -0.22691
C 1.15309 1.23648 1.58897
C -2.42557 0.22937 0.90038
H 1.49942 2.23848 1.23748
H 0.99989 1.15999 2.66845
O -1.56284 1.47752 2.73013
H 1.77627 -3.15413 -0.47898
H 0.12847 0.81512 -3.39016
H -1.07010 0.02587 -2.36603
N -0.12549 0.85763 1.06625
H 1.91828 0.41569 1.50030
C -0.16935 -0.15784 -2.92603
H 2.04727 -1.33950 0.09767
H -3.28597 0.07420 1.53571
C 0.86965 -0.54383 -1.91023
H -2.20079 -0.73041 0.46716
H 0.77204 -2.27992 0.76650
H -0.09939 0.29524 0.21033
O 1.69415 0.26789 -1.54417
H -0.45257 -0.87054 -3.73551
H -2.69202 0.98676 0.15307
N 0.51343 -1.69694 -1.27788

---

24
Properties=species:S:1:pos:R:3 method="wB97M-V/def2-TZVPD" total_charge=0 e_above_lowest_kcal_mol=62.1 max_force_ha_per_bohr=0.1172 smiles="CNC(C)=O.CNC(C)=O" total_energy_ha=-496.9585 homo_lumo_gap_ev=9.7 spin_multiplicity=1 lumo_energy_ha=0.02283 homo_ev=-9.039
O 1.50616 1.10960 0.86374
C -0.80081 0.04554 1.89122
H -1.43694 0.16064 2.82526
N -0.73072 1.34937 1.23359
H 0.16906 0.36398 -2.66009
H 1.32920 -3.85220 -0.70583
C 0.51041 1.82114 0.82799